(Excerpt)
1.
An optimized crystal structure of TlSnOF2. Source: Alexandria, functional PBE-GGA.

energy relative to the elements, uncorrected: -1071 meV/atom

a = 4.633 Å, b = 4.633 Å, c = 4.337 Å
α = 90.00°, β = 90.00°, γ = 90.00°
Atoms (fractional coordinates):
Tl: 0.000 0.000 0.000
Sn: 0.500 0.500 0.500
O: 0.000 0.000 0.500
F: 0.000 0.500 0.000
F: 0.500 0.000 0.000

---

2.
An optimized crystal structure of CaCoRe2. Source: Alexandria, functional PBE-GGA.

DFT formation energy: 0.342 eV/atom

a = 5.862 Å, b = 5.862 Å, c = 5.862 Å
α = 153.36°, β = 134.23°, γ = 53.75°
Atoms (fractional coordinates):
Ca: 0.000 0.000 0.000
Co: 0.500 0.500 0.000
Re: 0.290 0.790 0.500
Re: 0.710 0.210 0.500

---

Number 1: total moment 0.0 μB per formula unit. Number 2: total moment 0.4 μB per formula unit.

----------

1.
The following is a PBE-GGA calculation of a relaxed SiMoSe2 crystal, from Alexandria via LeMat-Bulk.

Structure (POSCAR):
```
SiMoSe2
1.0
4.151 -1.641 0.000
4.151 1.641 0.000
-1.054 0.000 6.658
Si Mo Se
1 1 2
Direct
0.000 0.000 0.000
0.727 0.727 0.087
0.197 0.197 0.782
0.427 0.427 0.313
```

Magnetic moment = 0.0 μB/cell
Energy relative to the elements, uncorrected = -0.12 eV per atom
Total DFT energy (no corrections) = -5.925 eV/atom

***

2.
The following is a PBE-GGA calculation of a relaxed Dy3InTc crystal, from Alexandria via LeMat-Bulk.

Structure (POSCAR):
```
Dy3InTc
1.0
0.000 4.829 8.020
3.326 0.000 8.020
3.326 4.829 0.000
Dy In Tc
6 2 2
Direct
0.199 0.582 0.418
0.201 0.201 0.799
0.418 0.801 0.199
0.582 0.199 0.801
0.799 0.799 0.201
0.801 0.418 0.582
0.206 0.794 0.794
0.794 0.206 0.206
0.250 0.250 0.250
0.750 0.750 0.750
```

Magnetic moment = 0.0 μB/cell
Total DFT energy (no corrections) = -5.611 eV/atom
DFT formation energy = -110 kJ/mol of formula units

***

3.
The following is a PBE-GGA calculation of a relaxed NaTaTc2 crystal, from Alexandria via LeMat-Bulk.

Structure (POSCAR):
```
NaTaTc2
1.0
-3.599 3.599 2.779
3.599 -3.599 2.779
3.599 3.599 -2.779
Na Ta Tc
2 2 4
Direct
0.000 0.000 0.000
0.750 0.250 0.500
0.250 0.750 0.500
0.500 0.500 0.000
0.147 0.625 0.022
0.375 0.397 0.522
0.603 0.125 0.978
0.875 0.853 0.478
```

Magnetic moment = 0.0 μB/cell
Total DFT energy (no corrections) = -7.366 eV/atom
DFT formation energy = 428 kJ/mol of formula units

***

4.
The following is a PBE-GGA calculation of a relaxed MgCrPd2 crystal, from Alexandria via LeMat-Bulk.

Structure (POSCAR):
```
MgCrPd2
1.0
-3.497 3.497 2.810
3.497 -3.497 2.810
3.497 3.497 -2.810
Mg Cr Pd
2 2 4
Direct
0.000 0.000 0.000
0.750 0.250 0.500
0.250 0.750 0.500
0.500 0.500 0.000
0.132 0.625 0.007
0.375 0.382 0.507
0.618 0.125 0.993
0.875 0.868 0.493
```

Magnetic moment = 7.8 μB/cell
Total DFT energy (no corrections) = -5.326 eV/atom
DFT formation energy = 29 kJ/mol of formula units

***

5.
The following is a PBE-GGA calculation of a relaxed Cs4Rb2Sr crystal, from Alexandria via LeMat-Bulk.

Structure (POSCAR):
```
Cs4Rb2Sr
1.0
-4.264 4.264 11.976
4.264 -4.264 11.976
4.264 4.264 -11.976
Cs Rb Sr
4 2 1
Direct
0.000 0.500 0.500
0.191 0.191 0.000
0.500 0.000 0.500
0.809 0.809 0.000
0.391 0.391 0.000
0.609 0.609 0.000
0.000 0.000 0.000
```

Magnetic moment = 0.0 μB/cell
Total DFT energy (no corrections) = -0.783 eV/atom
DFT formation energy = 150 kJ/mol of formula units

***

6.
The following is a PBE-GGA calculation of a relaxed PmNd2SmP4 crystal, from Alexandria via LeMat-Bulk.

Structure (POSCAR):
```
PmNd2SmP4
1.0
7.176 0.000 0.000
0.000 4.146 0.000
-2.390 0.000 6.767
Pm Nd Sm P
1 2 1 4
Direct
0.000 0.000 0.000
0.000 0.500 0.500
0.500 0.000 0.500
0.500 0.500 0.000
0.250 0.500 0.247
0.252 0.000 0.753
0.748 0.000 0.247
0.750 0.500 0.753
```

Magnetic moment = 0.0 μB/cell
Total DFT energy (no corrections) = -6.634 eV/atom
DFT formation energy = -1199 kJ/mol of formula units

***

7.
The following is a PBE-GGA calculation of a relaxed HoTmNi2Ge2 crystal, from Alexandria via LeMat-Bulk.

Structure (POSCAR):
```
HoTmNi2Ge2
1.0
4.200 0.000 0.000
-2.100 3.637 0.000

(Job)
Your job: quote the whole of the rows above with every line break kept.

(Reply)
1.
An optimized crystal structure of TlSnOF2. Source: Alexandria, functional PBE-GGA.

energy relative to the elements, uncorrected: -1071 meV/atom

a = 4.633 Å, b = 4.633 Å, c = 4.337 Å
α = 90.00°, β = 90.00°, γ = 90.00°
Atoms (fractional coordinates):
Tl: 0.000 0.000 0.000
Sn: 0.500 0.500 0.500
O: 0.000 0.000 0.500
F: 0.000 0.500 0.000
F: 0.500 0.000 0.000

---

2.
An optimized crystal structure of CaCoRe2. Source: Alexandria, functional PBE-GGA.

DFT formation energy: 0.342 eV/atom

a = 5.862 Å, b = 5.862 Å, c = 5.862 Å
α = 153.36°, β = 134.23°, γ = 53.75°
Atoms (fractional coordinates):
Ca: 0.000 0.000 0.000
Co: 0.500 0.500 0.000
Re: 0.290 0.790 0.500
Re: 0.710 0.210 0.500

---

Number 1: total moment 0.0 μB per formula unit. Number 2: total moment 0.4 μB per formula unit.

----------

1.
The following is a PBE-GGA calculation of a relaxed SiMoSe2 crystal, from Alexandria via LeMat-Bulk.

Structure (POSCAR):
```
SiMoSe2
1.0
4.151 -1.641 0.000
4.151 1.641 0.000
-1.054 0.000 6.658
Si Mo Se
1 1 2
Direct
0.000 0.000 0.000
0.727 0.727 0.087
0.197 0.197 0.782
0.427 0.427 0.313
```

Magnetic moment = 0.0 μB/cell
Energy relative to the elements, uncorrected = -0.12 eV per atom
Total DFT energy (no corrections) = -5.925 eV/atom

***

2.
The following is a PBE-GGA calculation of a relaxed Dy3InTc crystal, from Alexandria via LeMat-Bulk.

Structure (POSCAR):
```
Dy3InTc
1.0
0.000 4.829 8.020
3.326 0.000 8.020
3.326 4.829 0.000
Dy In Tc
6 2 2
Direct
0.199 0.582 0.418
0.201 0.201 0.799
0.418 0.801 0.199
0.582 0.199 0.801
0.799 0.799 0.201
0.801 0.418 0.582
0.206 0.794 0.794
0.794 0.206 0.206
0.250 0.250 0.250
0.750 0.750 0.750
```

Magnetic moment = 0.0 μB/cell
Total DFT energy (no corrections) = -5.611 eV/atom
DFT formation energy = -110 kJ/mol of formula units

***

3.
The following is a PBE-GGA calculation of a relaxed NaTaTc2 crystal, from Alexandria via LeMat-Bulk.

Structure (POSCAR):
```
NaTaTc2
1.0
-3.599 3.599 2.779
3.599 -3.599 2.779
3.599 3.599 -2.779
Na Ta Tc
2 2 4
Direct
0.000 0.000 0.000
0.750 0.250 0.500
0.250 0.750 0.500
0.500 0.500 0.000
0.147 0.625 0.022
0.375 0.397 0.522
0.603 0.125 0.978
0.875 0.853 0.478
```

Magnetic moment = 0.0 μB/cell
Total DFT energy (no corrections) = -7.366 eV/atom
DFT formation energy = 428 kJ/mol of formula units

***

4.
The following is a PBE-GGA calculation of a relaxed MgCrPd2 crystal, from Alexandria via LeMat-Bulk.

Structure (POSCAR):
```
MgCrPd2
1.0
-3.497 3.497 2.810
3.497 -3.497 2.810
3.497 3.497 -2.810
Mg Cr Pd
2 2 4
Direct
0.000 0.000 0.000
0.750 0.250 0.500
0.250 0.750 0.500
0.500 0.500 0.000
0.132 0.625 0.007
0.375 0.382 0.507
0.618 0.125 0.993
0.875 0.868 0.493
```

Magnetic moment = 7.8 μB/cell
Total DFT energy (no corrections) = -5.326 eV/atom
DFT formation energy = 29 kJ/mol of formula units

***

5.
The following is a PBE-GGA calculation of a relaxed Cs4Rb2Sr crystal, from Alexandria via LeMat-Bulk.

Structure (POSCAR):
```
Cs4Rb2Sr
1.0
-4.264 4.264 11.976
4.264 -4.264 11.976
4.264 4.264 -11.976
Cs Rb Sr
4 2 1
Direct
0.000 0.500 0.500
0.191 0.191 0.000
0.500 0.000 0.500
0.809 0.809 0.000
0.391 0.391 0.000
0.609 0.609 0.000
0.000 0.000 0.000
```

Magnetic moment = 0.0 μB/cell
Total DFT energy (no corrections) = -0.783 eV/atom
DFT formation energy = 150 kJ/mol of formula units

***

6.
The following is a PBE-GGA calculation of a relaxed PmNd2SmP4 crystal, from Alexandria via LeMat-Bulk.

Structure (POSCAR):
```
PmNd2SmP4
1.0
7.176 0.000 0.000
0.000 4.146 0.000
-2.390 0.000 6.767
Pm Nd Sm P
1 2 1 4
Direct
0.000 0.000 0.000
0.000 0.500 0.500
0.500 0.000 0.500
0.500 0.500 0.000
0.250 0.500 0.247
0.252 0.000 0.753
0.748 0.000 0.247
0.750 0.500 0.753
```

Magnetic moment = 0.0 μB/cell
Total DFT energy (no corrections) = -6.634 eV/atom
DFT formation energy = -1199 kJ/mol of formula units

***

7.
The following is a PBE-GGA calculation of a relaxed HoTmNi2Ge2 crystal, from Alexandria via LeMat-Bulk.

Structure (POSCAR):
```
HoTmNi2Ge2
1.0
4.200 0.000 0.000
-2.100 3.637 0.000